-- Input --
'''
(1)
Formula: C41H37Cl5F3N4O3S3SiYb
Source: the OMol25 dataset
Level of theory: ωB97M-V/def2-TZVPD

The highest occupied orbital energy (alpha / beta) is -0.03067 / -0.03062 Eh. Its net charge is -2. The spin multiplicity is 2. The value obtained for the LUMO energy (alpha / beta) is 3.6 / 3.6 eV.

Atoms and positions in Å:
Yb 0.22 -0.28 -0.44
C 3.57 1.25 1.18
C 2.46 1.73 0.37
N 1.21 1.57 0.86
N 0.47 2.67 0.98
C -0.75 2.55 1.54
S -1.56 1.11 1.85
S -1.36 4.02 2.33
C -0.71 5.37 1.28
C -1.65 5.49 0.10
C -1.15 6.03 -1.09
C -2.06 6.30 -2.11
C -3.40 6.05 -1.93
C -3.89 5.45 -0.81
C -3.01 5.15 0.20
C 2.60 2.28 -1.00
C 3.59 3.27 -1.14
C 3.74 3.90 -2.34
C 2.85 3.56 -3.44
C 1.83 2.67 -3.24
C 1.67 1.97 -2.00
O 0.68 1.14 -1.93
H 3.41 0.08 1.59
H 3.69 1.86 2.09
H 4.52 1.18 0.70
H 0.33 5.19 0.92
H -0.64 6.29 1.84
H -0.10 6.24 -1.29
H -1.70 6.72 -3.07
H -4.08 6.37 -2.72
H -4.93 5.19 -0.69
H -3.29 4.56 1.09
H 4.28 3.49 -0.28
H 4.50 4.62 -2.45
H 3.07 3.99 -4.44
H 1.11 2.35 -4.02
Cl 3.75 -5.53 -5.17
C 3.00 -4.32 -4.20
C 1.89 -4.61 -3.39
Cl 1.31 -6.23 -3.32
C 1.30 -3.54 -2.72
Cl -0.25 -3.68 -2.00
C 1.93 -2.26 -2.52
O 1.62 -1.48 -1.59
C 3.08 -1.95 -3.38
Cl 4.06 -0.57 -3.13
C 3.59 -3.01 -4.20
Cl 4.92 -2.65 -5.29
C -2.21 -3.14 0.52
S -0.87 -3.09 1.84
C -1.74 -2.25 3.17
O 0.22 -2.20 1.23
H -3.12 -3.41 1.03
H -1.91 -3.96 -0.09
H -2.35 -2.19 0.02
H -2.74 -2.68 3.32
H -1.77 -1.13 3.03
H -1.12 -2.53 4.06
N 0.03 -0.78 7.08
C 1.35 -0.46 7.35
C 2.09 -0.84 6.23
C 1.13 -1.29 5.29
N -0.15 -1.22 5.81
H -0.81 -0.53 7.58
H 1.73 -0.18 8.34
H 3.15 -0.80 6.01
H 1.25 -1.65 4.27
F -8.52 1.23 -4.25
C -7.61 0.55 -4.98
F -7.59 1.18 -6.23
F -8.18 -0.70 -5.19
C -6.24 0.41 -4.41
C -5.75 -0.89 -4.04
C -4.73 -1.00 -3.15
C -4.09 0.17 -2.60
C -4.52 1.45 -3.01
C -5.53 1.51 -3.96
C -3.14 -0.05 -1.61
C -2.23 -0.43 -0.85
H -6.27 -1.79 -4.29
H -4.37 -2.01 -2.82
H -4.05 2.40 -2.67
H -5.76 2.45 -4.39
C 2.52 -4.12 4.54
Si 3.42 -3.89 2.85
C 2.42 -4.52 1.48
C 5.08 -4.74 3.21
C 3.57 -2.10 2.51
C 3.53 -0.98 2.04
H 2.75 -5.18 4.76
H 1.43 -4.00 4.56
H 2.93 -3.51 5.34
H 1.86 -3.70 1.10
H 1.75 -5.34 1.85
H 3.05 -4.96 0.66
H 5.58 -4.97 2.27
H 5.04 -5.61 3.87
H 5.77 -4.07 3.76

Partial atomic charges computed with the Löwdin method, in multiples of e: 1.604, -0.123, -0.299, -0.182, -0.101, -1.192, 0.466, 0.811, -0.424, -0.286, -0.042, -0.112, -0.151, -0.115, -0.081, -0.140, -0.061, -0.128, -0.108, -0.042, -0.397, -0.228, -0.144, 0.097, 0.059, 0.080, 0.069, 0.114, 0.103, 0.097, 0.099, 0.068, 0.118, 0.059, 0.093, 0.114, 0.609, -0.730, -0.716, 0.650, -0.601, 0.767, -0.459, -0.221, -0.592, 0.728, -0.665, 0.598, -0.255, 0.869, -0.279, -0.671, 0.037, -0.031, -0.041, 0.050, -0.009, 0.011, -0.068, -0.118, -0.083, -0.136, 0.025, 0.139, 0.098, 0.094, 0.081, 0.128, -0.496, 0.064, 0.069, -0.139, -0.030, -0.029, -0.250, 0.003, -0.040, -0.164, -0.162, 0.099, 0.132, 0.127, 0.105, -0.197, 0.414, -0.197, -0.198, -0.191, 0.012, 0.014, 0.017, 0.006, -0.025, 0.044, 0.056, 0.008, 0.012, 0.032

(2)
Formula: C5H9N2
Source: the OMol25 dataset
Level of theory: ωB97M-V/def2-TZVPD

The highest occupied orbital energy is -0.49546 Eh. Its net charge is +1. The value obtained for the LUMO energy is -4.4 eV.

Atoms and positions in Å:
C 0.56 0.98 0.27
C -1.85 -0.01 0.58
C -0.88 1.01 -0.14
C -0.76 -0.06 -1.25
C 2.54 -0.29 -0.18
N 1.11 0.01 -0.36
N -1.49 -1.01 -0.38
H 1.20 1.70 0.99
H -1.71 -0.22 1.61
H -2.94 0.26 0.52
H -1.21 2.08 -0.47
H 3.07 -0.81 -1.12
H 2.61 -1.01 0.57
H 3.02 0.54 0.13
H -1.02 -1.72 0.15
H -2.24 -1.44 -0.91

Partial atomic charges computed with the Löwdin method, in multiples of e: -0.101, -0.090, -0.231, 0.152, -0.032, -0.005, 0.033, 0.191, 0.121, 0.157, 0.180, 0.155, 0.068, 0.038, 0.183, 0.181

(3)
Formula: C3H4O3
Source: the OMol25 dataset
Level of theory: ωB97M-V/def2-TZVPD

The highest occupied orbital energy is -0.35163 Eh. The value obtained for the LUMO energy is -0.2 eV.

Atoms and positions in Å:
O 2.02 -1.14 -0.36
C 0.91 -0.86 -0.02
C 0.49 0.61 0.15
O -0.85 0.68 0.68
C -1.90 0.77 -0.08
'''
-- Wanted --
Next, type out the whole of the rows further up verbatim.
-- Here it is --
(1)
Formula: C41H37Cl5F3N4O3S3SiYb
Source: the OMol25 dataset
Level of theory: ωB97M-V/def2-TZVPD

The highest occupied orbital energy (alpha / beta) is -0.03067 / -0.03062 Eh. Its net charge is -2. The spin multiplicity is 2. The value obtained for the LUMO energy (alpha / beta) is 3.6 / 3.6 eV.

Atoms and positions in Å:
Yb 0.22 -0.28 -0.44
C 3.57 1.25 1.18
C 2.46 1.73 0.37
N 1.21 1.57 0.86
N 0.47 2.67 0.98
C -0.75 2.55 1.54
S -1.56 1.11 1.85
S -1.36 4.02 2.33
C -0.71 5.37 1.28
C -1.65 5.49 0.10
C -1.15 6.03 -1.09
C -2.06 6.30 -2.11
C -3.40 6.05 -1.93
C -3.89 5.45 -0.81
C -3.01 5.15 0.20
C 2.60 2.28 -1.00
C 3.59 3.27 -1.14
C 3.74 3.90 -2.34
C 2.85 3.56 -3.44
C 1.83 2.67 -3.24
C 1.67 1.97 -2.00
O 0.68 1.14 -1.93
H 3.41 0.08 1.59
H 3.69 1.86 2.09
H 4.52 1.18 0.70
H 0.33 5.19 0.92
H -0.64 6.29 1.84
H -0.10 6.24 -1.29
H -1.70 6.72 -3.07
H -4.08 6.37 -2.72
H -4.93 5.19 -0.69
H -3.29 4.56 1.09
H 4.28 3.49 -0.28
H 4.50 4.62 -2.45
H 3.07 3.99 -4.44
H 1.11 2.35 -4.02
Cl 3.75 -5.53 -5.17
C 3.00 -4.32 -4.20
C 1.89 -4.61 -3.39
Cl 1.31 -6.23 -3.32
C 1.30 -3.54 -2.72
Cl -0.25 -3.68 -2.00
C 1.93 -2.26 -2.52
O 1.62 -1.48 -1.59
C 3.08 -1.95 -3.38
Cl 4.06 -0.57 -3.13
C 3.59 -3.01 -4.20
Cl 4.92 -2.65 -5.29
C -2.21 -3.14 0.52
S -0.87 -3.09 1.84
C -1.74 -2.25 3.17
O 0.22 -2.20 1.23
H -3.12 -3.41 1.03
H -1.91 -3.96 -0.09
H -2.35 -2.19 0.02
H -2.74 -2.68 3.32
H -1.77 -1.13 3.03
H -1.12 -2.53 4.06
N 0.03 -0.78 7.08
C 1.35 -0.46 7.35
C 2.09 -0.84 6.23
C 1.13 -1.29 5.29
N -0.15 -1.22 5.81
H -0.81 -0.53 7.58
H 1.73 -0.18 8.34
H 3.15 -0.80 6.01
H 1.25 -1.65 4.27
F -8.52 1.23 -4.25
C -7.61 0.55 -4.98
F -7.59 1.18 -6.23
F -8.18 -0.70 -5.19
C -6.24 0.41 -4.41
C -5.75 -0.89 -4.04
C -4.73 -1.00 -3.15
C -4.09 0.17 -2.60
C -4.52 1.45 -3.01
C -5.53 1.51 -3.96
C -3.14 -0.05 -1.61
C -2.23 -0.43 -0.85
H -6.27 -1.79 -4.29
H -4.37 -2.01 -2.82
H -4.05 2.40 -2.67
H -5.76 2.45 -4.39
C 2.52 -4.12 4.54
Si 3.42 -3.89 2.85
C 2.42 -4.52 1.48
C 5.08 -4.74 3.21
C 3.57 -2.10 2.51
C 3.53 -0.98 2.04
H 2.75 -5.18 4.76
H 1.43 -4.00 4.56
H 2.93 -3.51 5.34
H 1.86 -3.70 1.10
H 1.75 -5.34 1.85
H 3.05 -4.96 0.66
H 5.58 -4.97 2.27
H 5.04 -5.61 3.87
H 5.77 -4.07 3.76

Partial atomic charges computed with the Löwdin method, in multiples of e: 1.604, -0.123, -0.299, -0.182, -0.101, -1.192, 0.466, 0.811, -0.424, -0.286, -0.042, -0.112, -0.151, -0.115, -0.081, -0.140, -0.061, -0.128, -0.108, -0.042, -0.397, -0.228, -0.144, 0.097, 0.059, 0.080, 0.069, 0.114, 0.103, 0.097, 0.099, 0.068, 0.118, 0.059, 0.093, 0.114, 0.609, -0.730, -0.716, 0.650, -0.601, 0.767, -0.459, -0.221, -0.592, 0.728, -0.665, 0.598, -0.255, 0.869, -0.279, -0.671, 0.037, -0.031, -0.041, 0.050, -0.009, 0.011, -0.068, -0.118, -0.083, -0.136, 0.025, 0.139, 0.098, 0.094, 0.081, 0.128, -0.496, 0.064, 0.069, -0.139, -0.030, -0.029, -0.250, 0.003, -0.040, -0.164, -0.162, 0.099, 0.132, 0.127, 0.105, -0.197, 0.414, -0.197, -0.198, -0.191, 0.012, 0.014, 0.017, 0.006, -0.025, 0.044, 0.056, 0.008, 0.012, 0.032

(2)
Formula: C5H9N2
Source: the OMol25 dataset
Level of theory: ωB97M-V/def2-TZVPD

The highest occupied orbital energy is -0.49546 Eh. Its net charge is +1. The value obtained for the LUMO energy is -4.4 eV.

Atoms and positions in Å:
C 0.56 0.98 0.27
C -1.85 -0.01 0.58
C -0.88 1.01 -0.14
C -0.76 -0.06 -1.25
C 2.54 -0.29 -0.18
N 1.11 0.01 -0.36
N -1.49 -1.01 -0.38
H 1.20 1.70 0.99
H -1.71 -0.22 1.61
H -2.94 0.26 0.52
H -1.21 2.08 -0.47
H 3.07 -0.81 -1.12
H 2.61 -1.01 0.57
H 3.02 0.54 0.13
H -1.02 -1.72 0.15
H -2.24 -1.44 -0.91

Partial atomic charges computed with the Löwdin method, in multiples of e: -0.101, -0.090, -0.231, 0.152, -0.032, -0.005, 0.033, 0.191, 0.121, 0.157, 0.180, 0.155, 0.068, 0.038, 0.183, 0.181

(3)
Formula: C3H4O3
Source: the OMol25 dataset
Level of theory: ωB97M-V/def2-TZVPD

The highest occupied orbital energy is -0.35163 Eh. The value obtained for the LUMO energy is -0.2 eV.

Atoms and positions in Å:
O 2.02 -1.14 -0.36
C 0.91 -0.86 -0.02
C 0.49 0.61 0.15
O -0.85 0.68 0.68
C -1.90 0.77 -0.08